Material:
<<<
78
Properties=species:S:1:pos:R:3:forces:R:3 method="wB97M-V/def2-TZVPD" e_homo_ev=-9.09 multiplicity=1 homo_lumo_gap_ev=7.658
Sn 3.576678 -14.177563 12.971512 0.55 0.10 0.21
N -0.322897 -18.544982 11.077969 1.40 1.59 -0.64
S -1.821267 -18.822073 10.604370 1.56 0.82 0.87
O -1.991658 -20.185869 10.734216 -1.77 -3.40 0.08
O -2.293688 -18.146427 9.451823 -0.28 0.91 -0.19
F -2.567851 -18.186885 11.868016 0.29 0.27 -0.63
S 0.848196 -18.973323 10.070376 -1.69 -1.40 1.49
O 0.365430 -19.958336 9.131710 1.35 1.20 0.20
O 2.043001 -19.231566 10.864266 -0.83 0.83 -1.20
F 1.141160 -17.622132 9.244281 0.17 -0.58 0.25
C 3.650419 -12.890618 15.829427 0.46 0.19 -1.83
O 4.425323 -13.418384 14.626063 -1.78 0.58 1.21
H 4.263856 -13.094610 16.706371 -0.38 -0.30 -0.03
H 3.546532 -11.799753 15.735713 0.39 -0.17 -0.14
H 2.589347 -13.218668 15.877345 0.92 -0.51 0.08
C 1.793096 -17.320309 13.343191 -0.80 -0.14 0.55
N 1.227412 -16.295860 14.298429 0.78 -3.14 -2.15
O 0.248512 -16.560390 14.884526 -1.63 0.22 1.41
O 1.836282 -15.262101 14.325774 0.88 3.02 0.94
H 1.672615 -16.846953 12.380027 0.33 -0.14 -0.39
H 1.161462 -18.200624 13.399000 0.07 0.00 -0.10
H 2.813200 -17.509982 13.653742 0.18 0.12 -0.21
C -1.423243 -10.753268 7.999089 -1.84 -2.15 -1.12
N -0.529755 -9.713576 8.411472 1.72 2.69 -0.26
O -0.534173 -8.672577 7.741309 -0.28 -1.37 0.59
O 0.216632 -9.847477 9.381490 -0.87 -0.65 -0.63
H -2.469746 -10.439965 8.086905 0.39 0.49 -0.14
H -1.381191 -11.630012 8.614936 0.60 -0.06 0.65
H -1.280251 -11.140270 6.958187 0.31 1.05 0.75
C 5.329130 -18.824005 11.772953 -0.17 0.29 -0.20
N 6.095848 -17.856294 12.569481 1.10 0.04 1.52
O 5.491046 -17.003348 13.209463 -0.12 0.01 -0.42
O 7.307279 -18.001812 12.640676 -0.71 0.20 -0.33
H 5.452067 -18.447193 10.756018 -0.42 -0.28 -0.08
H 4.296261 -18.789849 12.141648 0.38 -0.21 -0.52
H 5.834555 -19.781341 11.879861 -0.23 0.05 -0.03
C 3.238493 -12.199109 8.138226 0.18 0.69 0.37
N 2.129706 -12.820795 8.889923 -1.20 0.32 0.53
O 2.198126 -12.896856 10.110036 0.52 -0.32 -0.25
O 1.105487 -13.061166 8.280489 0.40 -0.32 -0.08
H 4.027460 -11.906210 8.871368 -0.71 -0.17 -0.85
H 2.687109 -11.371880 7.659207 0.80 -0.04 0.18
H 3.602429 -12.872999 7.370910 -0.03 -0.18 0.13
C 7.969425 -13.824291 8.495542 -0.40 0.61 -0.18
N 6.719572 -14.562352 8.140781 -0.90 -0.50 1.45
O 6.660810 -15.764111 8.409763 0.04 1.52 -0.64
O 5.800651 -13.886669 7.690255 0.68 -0.72 0.03
H 7.821572 -13.067963 9.290620 -0.63 -0.28 -0.76
H 8.243622 -13.381700 7.536261 0.47 0.11 0.42
H 8.649949 -14.517733 8.921348 0.71 -0.75 -0.19
C 8.151282 -14.988859 14.315061 -0.75 1.35 0.25
N 8.059877 -14.086743 13.113743 0.66 -3.26 -0.46
O 7.682218 -14.600149 12.088937 -0.67 -0.30 -0.67
O 8.478127 -12.984983 13.185258 0.58 2.87 0.65
H 8.035878 -16.024064 14.006723 0.08 0.19 0.04
H 7.302074 -14.602967 14.891079 0.05 -0.59 0.26
H 9.059391 -14.697307 14.840789 0.00 -0.34 -0.15
C 5.988132 -10.904995 12.760003 1.78 -0.81 1.09
N 5.723049 -11.708541 11.593789 -0.48 -0.23 -0.97
O 5.799040 -11.196935 10.513550 0.17 0.77 -0.73
O 5.476171 -12.898055 11.712014 -0.24 -0.61 0.64
H 5.503491 -11.330957 13.611290 -0.96 -0.03 0.39
H 5.884412 -9.865305 12.565140 -0.34 0.58 -0.20
H 7.036693 -11.160576 12.987708 -0.08 0.41 -0.24
C -0.166622 -12.236525 11.921780 0.37 -0.21 1.77
N 1.160480 -11.657085 12.254602 0.09 0.63 -0.48
O 1.946964 -12.378866 12.885170 0.20 0.23 0.31
O 1.404630 -10.528256 11.907507 0.08 -0.99 0.58
H -0.574563 -11.582944 11.203530 -0.47 0.19 -1.10
H -0.750534 -12.144426 12.856585 0.22 -0.18 -0.40
H -0.000567 -13.288693 11.688721 -0.20 0.44 -0.24
C -1.615306 -15.046823 9.718678 0.71 0.34 -0.02
N -2.552235 -13.939513 9.490447 1.09 2.80 1.46
O -2.346645 -12.882803 10.151687 -0.34 -1.60 -0.60
O -3.411566 -14.022176 8.680101 -0.96 -0.53 -0.90
H -2.218637 -15.818694 10.193218 0.48 -0.18 0.10
H -0.760023 -14.606589 10.290380 -0.96 -0.86 -0.41
H -1.286617 -15.362670 8.725004 -0.09 -0.21 0.30



52
>>>

Activity:
Could you copy the part of the material further above that starts with the line with "0.61 -0.18" and stops after the one with "0.11 0.42"?

Outcome:
C 7.969425 -13.824291 8.495542 -0.40 0.61 -0.18
N 6.719572 -14.562352 8.140781 -0.90 -0.50 1.45
O 6.660810 -15.764111 8.409763 0.04 1.52 -0.64
O 5.800651 -13.886669 7.690255 0.68 -0.72 0.03
H 7.821572 -13.067963 9.290620 -0.63 -0.28 -0.76
H 8.243622 -13.381700 7.536261 0.47 0.11 0.42